The trend of going green has more meaning than just glamming up social media with fancy hashtags and attractive pictures. At Mövenpick Resorts Kuredhivaru, the commitment to focusing on implementing conscious actions that will in turn sustain the healthy environment is part of the resort’s ethos, in line with the brand’s greater efforts to establish a common and global approach to environmental, employer and social sustainability.
Here's a look at 4 of the eco-conscious initiatives being implemented at the resort which have not only reduced waste, but made it much easier to reduce and monitor the carbon footprint and its impact on the environment and communities.
Did you know that there is a proper way to discard your garbage? At Kuredhivaru, dry and wet waste is segregated and disposed of separately. Throughout the resort, a Reduce-Reuse-Recycle policy is advocated among guests and employees alike. Moreover, the resort has an incinerator, bottle crusher and compacting machine that compresses the waste for easier transportation.
Water is one of the easiest elements to waste. Combined with its plastic packaging, the negative impacts double and last much longer in the environment as a negative contributor. Kuredhivaru has taken the thoughtful steps of setting up its own water-bottling plant that has replaced all the plastic bottles and need for straws on the island. Surrounded by the ocean, the sea water is desalinated inhouse to be used in the villas and the staff area. Simultaneously, the excess steam from the plants is used to heat the running water throughout the island.
Nearly 70 kilos of the freshest herbs used in plating mouthwatering dishes to guests come from the Mövenpick Herbs Garden on the island. What started as an initiation to become self-sufficient and have a continuous, sustainable resourse of basic ingredients has now advanced to the resorts very own hydroponic farm and garden. In addition to herbs, veggies and fruits are also farmed from organic methods by using eco-friendly composts made up of kitchen waste and dry leaves.
== Records of crystals that have nothing to do with the entry ==
~~~
Below is crystalline PrSm2Ge at its relaxed geometry, with properties calculated at the PBE-GGA level.

Computed properties:
The space-group type is R3m, No. 160. For the density of states at the Fermi level, the calculation gives 6.10 states/eV per cell. Its magnetic moment is 0.0 μB/f.u. The energy of formation from the pure elements comes out at -0.2481 eV per atom. The raw total energy comes out at -0.36432 Ry per atom. The value obtained for the theoretical density is 6.43 g cm⁻³. For the polymorph energy (0 for the lowest one), the calculation gives 0.198 eV/atom.

```
data_PrSm2Ge
_chemical_formula_sum 'Pr1 Sm2 Ge1'
_space_group_name_H-M_alt 'P 1'
_space_group_IT_number 1
_cell_length_a 9.6791
_cell_length_b 9.6791
_cell_length_c 9.6791
_cell_angle_alpha 24.09
_cell_angle_beta 24.09
_cell_angle_gamma 24.09
loop_
_space_group_symop_operation_xyz
'x,y,z'
loop_
_atom_site_label
_atom_site_type_symbol
_atom_site_fract_x
_atom_site_fract_y
_atom_site_fract_z
_atom_site_occupancy
Pr1 Pr 0.0000 0.0000 0.0000 1
Sm1 Sm 0.2294 0.2294 0.2294 1
Sm2 Sm 0.4407 0.4407 0.4407 1
Ge1 Ge 0.8356 0.8356 0.8356 1
```

=====

Tb4Ag2HgRh | PBE-GGA | optimized geometry Values from VASP.

The structure in Quantum ESPRESSO input format:
```
&SYSTEM
  ibrav = 0, nat = 8, ntyp = 4
/
ATOMIC_SPECIES
Tb 158.93 Tb.upf
Ag 107.87 Ag.upf
Hg 200.59 Hg.upf
Rh 102.91 Rh.upf
ATOMIC_POSITIONS angstrom
Tb 0.000 0.000 2.903
Tb 0.000 0.000 9.178
Tb 0.000 0.000 15.688
Tb 0.000 0.000 21.963
Ag 0.000 0.000 6.065
Ag 0.000 0.000 18.802
Hg 0.000 0.000 12.433
Rh 0.000 0.000 0.000
CELL_PARAMETERS angstrom
2.566 1.481 8.289
-2.566 1.481 8.289
0.000 -2.962 8.289
```

Magnetization   0.000 μB per cell
VASP energy   -4.488 eV per atom
Space group   R-3m
V   23.623 Å³ per atom

Tc2AgHgRh | PBE-GGA | optimized geometry Values from VASP.

The structure in Quantum ESPRESSO input format:
```
&SYSTEM
  ibrav = 0, nat = 5, ntyp = 4
/
ATOMIC_SPECIES
Tc 98.00 Tc.upf
Ag 107.87 Ag.upf
Hg 200.59 Hg.upf
Rh 102.91 Rh.upf
ATOMIC_POSITIONS angstrom
Tc 0.000 2.462 0.000
Tc 2.462 0.000 0.000
Ag 0.000 0.000 0.000
Hg 2.462 2.462 2.443
Rh 0.000 0.000 2.443
CELL_PARAMETERS angstrom
4.924 0.000 0.000
0.000 4.924 0.000
0.000 0.000 4.886
```

Magnetization   6.923 μB per cell
VASP energy   -4.201 eV per atom
Space group   P4/mmm
V   23.696 Å³ per atom

Th2AgHgRh | PBE-GGA | optimized geometry Values from VASP.

The structure in Quantum ESPRESSO input format:
```
&SYSTEM
  ibrav = 0, nat = 10, ntyp = 4
/
ATOMIC_SPECIES
Th 232.04 Th.upf
Ag 107.87 Ag.upf
Hg 200.59 Hg.upf
Rh 102.91 Rh.upf
ATOMIC_POSITIONS angstrom
Th -0.138 0.997 2.765
Th 2.390 0.997 0.056
Th 2.738 2.991 7.608
Th 5.266 2.991 4.900
Ag 2.613 2.991 2.764
Ag 2.514 0.997 4.901
Hg 0.333 2.991 5.328
Hg 4.795 0.997 2.337
Rh 0.523 2.991 0.884
Rh 4.605 0.997 6.780
CELL_PARAMETERS angstrom
8.219 0.000 0.000
0.000 3.988 0.000
-3.091 0.000 7.664
```

Magnetization   0.000 μB per cell
VASP energy   -5.520 eV per atom
Space group   P2_1/m
V   25.120 Å³ per atom
~~~
Sunny all year round, Kuredhivaru uses the sunshine to power a majority of the resort's electricity. In January 2019, 900 solar panels were installed on the roofs at the back-of-the-house buildings, which are capable of generating 450KW electricity. This averages to up to 40% of the daily electricity usage on the island. Since installation, the operation has saved 158,000L of diesel spendings for the resort.
In addition to these, Mövenpick Resorts Kuredhivaru invests in a number of other green initiatives that involve educating guests and contributing to the benefit of the local communities on the neighboring islands.